‘Obesity, nutritional status and COVID-19’ – Carel Le Roux
### Inserted here: molecular data
........
Entry from the Open Molecules 2025 dataset: a 4-piece molecular cluster, C4H10NO2 overall in a non-equilibrium geometry (ωB97M-V/def2-TZVPD).

- Charge: +1
- Max |F|: 4.786 eV/Å
- Total energy: -363.3363 Ha
- Relative energy (zero: lowest compared OMol25 entry of this formula, charge and spin): 62.3 kcal per mole
- Spin multiplicity: 1
- E_HOMO: -16.165 eV
- Frontier orbital gap: 10.99 eV

Atoms and positions in Å:
C1 3.921 -0.524 0.632
C2 -0.841 -1.368 0.325
C3 -0.613 1.038 0.338
C4 -0.018 -0.088 -1.708
N1 -0.434 -0.072 -0.355
O1 4.945 -0.373 1.105
O2 2.888 -0.549 0.137
H1 -5.006 -2.062 1.765
H2 -1.621 -1.730 -0.387
H3 -0.112 -2.164 0.476
H4 -1.420 -1.044 1.135
H5 -0.530 1.979 -0.202
H6 -0.919 1.123 1.396
H7 -5.228 -2.050 0.932
H8 -0.230 0.865 -2.365
H9 1.048 -0.206 -1.662
H10 -0.420 -0.920 -2.235

Cartesian forces (eV/Å) of the 6 atoms listed first:
C 0.5338 0.7929 0.0858
C -1.1009 0.2999 -2.7866
C 0.1450 -1.3164 -1.7338
C 0.7054 2.0265 -2.4608
N -1.4256 1.9199 4.1460
O 1.5884 -0.2637 0.8157
........
Posted On: 31st July 2020
Prof Carel le Roux, Diabetes Complications Research Centre, University College Dublin, Ireland
People with obesity are one of the high risk groups to develop severe illness from COVID-19. Several diseases have been associated with COVID-19 hospitalizations but consistently the severity of COVID-19 corelates with BMI. Obesity increases the risk of developing severe pneumonia in COVID-19 patients and has been associated with a higher probability of mortality. Prospective observational cohort study of 16,749 hospitalised UK patients with COVID-19 showed that obesity is a specific risk factor for COVID- related mortality. This has also been confirmed in 177,133 subjects analysed from Mexico.
The association between COVID-19 and obesity has several potential mechanisms explaining the more severe complications. This includes the compromised lung function in people with obesity, combined with increased levels of chronic inflammation. The situation is however often made worse by obesity-related complications such as diabetes and cardiovascular disease.
The impact of COVID-19 on everyday life and treatment of people with obesity can not be underestimated, especially now that it is understood that people living with obesity are not at increased risk for contracting SARS-CoV-2 and developing COVID-19, but that obesity is one of the most prevalent diseases among hospitalized COVID-19 patients. People with obesity are thus at a higher risk of complications and adverse outcomes of COVID-19, as well as higher risk for hospitalization and critical care admission.
In conclusion, obesity is one of the most prevalent background diseases in patients with COVID-19. Obesity causes higher risk of complications and adverse outcomes from COVID-19 and also causes higher risk for hospitalization and critical care admission from COVID-19. The current pandemic has highlighted that obesity not only increases the risk for long-term complications, it also increases the risk for acute complications and severe outcomes from infectious disease like COVID-19. The health crisis that has emerged from the COVID-19 pandemic reinforces the need for making obesity a healthcare priority. Providing access to obesity care will reduce the burden on people with obesity, healthcare systems and societies.
Professor Carel le Roux (MBChB, MSC, FRCP, FRCPath, PhD) graduated from medical school in Pretoria South Africa, completed his Senior House Officer training at Barts and The London Hospital, his SpR training in metabolic medicine at the Hammersmith Hospitals and his PhD at Imperial College London. He was appointed as Senior Lecturer in 2006, promoted to Reader in 2009 at Imperial and accepted a Chair as Head of Pathology at University College Dublin in 2011. He received the President of Ireland Young Researcher Award from science Foundation Ireland, a Clinician Scientist Award from the National Institute Health Research in the UK and a Wellcome Trust Clinical Research Fellowship amongst others.
Total Diet & Meal Replacements Europe (TDMR Europe)’s webinar, ‘Reducing future risk: Obesity co-morbidities and nutritional status’, attracted over 100 academics, policymakers and medical specialists from all over the world.
The webinar, which had been awarded SCOPE World Obesity Federation accreditation, highlighted the use of total diet replacements to reduce future risk of diabetes and cardiovascular disease and diminish severe outcomes in COVID-19 among at-risk subgroups within populations. The speakers discussed a range of diverse and challenging topics, including obesity, nutritional status and COVID-19, TDR to achieve diabetes remission and diabetes risk reduction, TDR and vitamin D status in elderly obese people with knee osteoarthritis, and research needs and translation into practice in the context of diabetes remission.
TDMR Europe represents the voice of European manufacturers and distributors of formula diet products, including Total Diet Replacements (TDRs) and Meal Replacement Products (MRPs), that provide weight loss and weight management programmes for overweight and obese individuals.
If you would like to contact TDMR Europe to discuss the webinar or any other matter, email secretariat@tdmr-europe.com.